We’ve tried a number of different infectious diseases initiatives in the past, aimed at increasing infectious disease education and awareness of both veterinarians and pet owners. Some have worked very well (like this blog), others less so. However, there’s still a lot that can be done.

Here’s our latest initiative – whether it flies or flops remains to be seen, but I think it could be useful.

Most weeks (or multiple times a week), I get a call about infectious disease concerns in an imported dog. It’s not hard to identify some of the infectious disease risks (and it gets easier the more I do it); however, we don’t have a  centralized record of what diseases are coming from different regions.

So, why not try to make one?  It’s easier said than done.  Why is that?

  • There aren’t a lot of people working in the companion animal infectious disease world, so there are lots of gaps. “If you don’t look, you don’t find” is a good adage in this regard.
  • So, the available information is patchy, particularly for certain diseases, and some diseases may seem common in certain areas simply because someone happens to be looking for them there.
  • That means we can confidently say that a disease is present in a particular region, but it’s harder to confidently say that a disease is not present.

_Materials data that have nothing to do with the piece_
+++
Record 1
# KCo2Pd
Theoretical XRD peak list, a wavelength of 1.5418 Å. Input: the GGA-PBE geometry in Alexandria.

Most intense lines, 5° ≤ 2θ ≤ 70°, in order of falling intensity:
Position (°2θ)	I/Imax	index
19.72	100	1 0 1
28.95	72	1 1 2
59.99	28	2 2 4
41.29	26	1 1 6
41.18	22	0 0 8
44.02	22	2 0 4
46.26	21	2 1 3
40.05	20	2 0 2
38.65	16	2 0 0
50.98	16	2 1 5

Structure:
Cell: 4.6592 4.6592 17.5376 Å, 90.00 90.00 90.00°
Space group I4_1/amd (No. 141, origin choice 2)
Inequivalent atoms, fractional coordinates:
K 0.0000 0.2500 0.3750 (multiplicity 4)
Co 0.0000 0.0000 0.0000 (multiplicity 8)
Pd 0.0000 0.2500 0.8750 (multiplicity 4)



Record 2
# CsLaO2
Theoretical XRD peak list, a wavelength of 1.5418 Å. Input: the GGA-PBE geometry in Alexandria.

Most intense lines, 5° ≤ 2θ ≤ 70°, in order of falling intensity:
Position (°2θ)	I/Imax	index
29.22	100	1 1 2
24.46	43	0 0 4
23.75	25	2 0 0
24.54	25	2 0 1
46.12	25	1 1 6
30.14	25	2 0 3
43.93	25	3 1 1
34.36	17	2 0 4
54.85	15	0 2 4
54.16	14	3 1 5

Structure:
Cell: 7.4918 3.7710 14.5535 Å, 90.00 90.00 90.00°
Space group Pnma (No. 62)
Inequivalent atoms, fractional coordinates:
Cs 0.0874 0.2500 0.1243 (multiplicity 4)
La 0.0531 0.7500 0.3964 (multiplicity 4)
O 0.0285 0.7500 0.6865 (multiplicity 4)
O 0.1734 0.2500 0.4985 (multiplicity 4)



Record 3
# As3Ru5
Theoretical XRD peak list, a wavelength of 1.5418 Å. Input: the GGA-PBE geometry in Alexandria.

Most intense lines, 5° ≤ 2θ ≤ 70°, in order of falling intensity:
Position (°2θ)	I/Imax	index
43.48	100	2 2 -1
37.80	76	1 0 -2
42.64	53	-1 1 2
42.78	47	2 1 3
44.94	44	1 3 2
39.80	44	1 3 1
38.17	40	1 -2 1
44.52	39	0 3 -1
36.44	38	2 0 2
44.41	35	0 1 -3

Structure:
Cell: 5.8795 6.9323 6.9541 Å, 82.08 68.10 68.15°
Space group P1 (No. 1)
Inequivalent atoms, fractional coordinates:
As 0.0000 0.0000 0.0000 (multiplicity 1)
As 0.0039 0.1301 0.4513 (multiplicity 1)
As 0.3042 0.3457 0.9851 (multiplicity 1)
As 0.4114 0.2425 0.4983 (multiplicity 1)
As 0.4673 0.6924 0.3507 (multiplicity 1)
As 0.7590 0.6939 0.7173 (multiplicity 1)
Ru 0.0147 0.3418 0.7947 (multiplicity 1)
Ru 0.0507 0.4634 0.3546 (multiplicity 1)
Ru 0.3447 0.9206 0.6500 (multiplicity 1)
Ru 0.3596 0.6835 0.0478 (multiplicity 1)
Ru 0.4678 0.0478 0.2054 (multiplicity 1)
Ru 0.5481 0.4627 0.6498 (multiplicity 1)
Ru 0.7543 0.0348 0.7771 (multiplicity 1)
Ru 0.7558 0.3226 0.2178 (multiplicity 1)
Ru 0.8612 0.6782 0.0474 (multiplicity 1)
Ru 0.8616 0.8763 0.3699 (multiplicity 1)



Number 2 is which compound? CsLaO2

~~~~~

# CoAs2
Theoretical X-ray powder pattern, a wavelength of 1.5418 Å. Input: a DFT-relaxed cell (PBE, OQMD).
Neutral-atom scattering factors, no anomalous dispersion.

Cell and atoms:
Unit cell a=5.935 b=5.877 c=5.978 alpha=90.00 beta=116.21 gamma=90.00
Atoms (fractional coordinates):
Co1 0.228 0.001 0.215
Co2 0.228 0.499 0.715
Co3 0.772 0.501 0.285
Co4 0.772 0.999 0.785
As1 0.157 0.136 0.826
As2 0.157 0.364 0.326
As3 0.347 0.634 0.133
As4 0.347 0.866 0.633
As5 0.653 0.134 0.367
As6 0.653 0.366 0.867
+++

Yet, it’s still a good start.

So, here’s the first, basic attempt: a map of canine influenza.

The static map is above. Click here for a more interactive map that will provide details when you hover over a country and allow you to zoom in. The colour scale  ranges from my crude categories of “hyperendemic/very common” to “widespread” to “has been sporadically or previously identified” to “not reported/no data.” It’s an empirical scale but it suits our needs for now. The maps also have the ever-present issue of using a national scale which can distort regional risks (e.g. Canada is a very big country and something that’s present in one region may be of no concern in another). These maps are being done in R and I’m just learning how to map with that, so hopefully they’ll get a bit better over time.

Crowd-sourced surveillance will be useful with this project. While formal research is limited for many diseases in different regions, veterinarians and owners know what they see. We’ll be looking for input into the maps that we develop, especially data relating to developing regions and areas where research data are limited.

This is just the first attempt and more diseases will hopefully be coming soon.  As always, input is welcome.